Collaborate With Your Competitors? Not as crazy as it sounds…

Collaborate with your Competitors
I’m incredibly fortunate that I’m in an industry that is tight knit, supportive and collaborative. In fact, some of my closest friends, Keith Abraham, Tim Reid, Tim Longhurst and Julie Cross are also fellow speakers (and essentially, competitors). But rather than competing, we choose to collaborate. Each January, I host 6-8 of Australia’s top speakers at my home for three days. It’s an intensive retreat of learning, inspiration and motivation. We exchange ideas, share insights and learnings, talk about our wins and share our goals for the year ahead. It’s a pretty open and honest circle of trust where we often talk about our biggest challenges both professionally and personally. And despite often competing for the same clients, our spirit of collaboration means we’re never driven by fear or a scarcity mentality. In fact since we got together for the first retreat three years ago, our businesses have all grown exponentially.
Just last month I called another speaker buddy, Adam Fraser when I was struggling with some workshop content. Having a colleague (who is also a direct competitor) demonstrate a generosity of spirit to step up and help me with ideas to ensure I delivered a great outcome for the client is a concept that would be challenging for some.
But I have to tell you, when you come from a place of abundance and generosity, it comes back to you tenfold. Last year over 20% of my new business came from referrals from other speakers. My ‘competitors’ have become my biggest advocates.
I’m currently working on big collaboration projects with Timbo Reid and another great mate of mine Chris Riddell. Again, we’re often vying for the same business but we choose to cross refer, endorse each other and team up to explore opportunities to deliver better results for our clients, rather than take the protective and defensive position many competitors would.
(Timbo even came and helped me sell my books at a recent event, pictured)
What could be possible in your business if you viewed your competitors as potential collaboration partners?
Perhaps you could join forces to start or strengthen your industry’s association. You could get together for a brainstorming session to simply share ideas or you could partner on something specific in the form of a joint venture or collaboration.
I’m certainly not suggesting that you get your competitors in a room and share all your business secrets. But as they say a rising tide lifts all boats.

Collaborate with your Customers

If cozying up to your competition is too much, consider collaborating with your customers.
Many years ago when I headed up a marketing and research company, I oversaw Customer Advisory Boards for three of Australia’s largest retailers. One of those brands was Best & Less.
Each month, I would meet with 10-12 Best & Less customers, a cross section of the community representative of the brand’s customer base.
This was a more than an extended focus group — it was a six-month program with a set agenda and clear objectives and outcomes (after six months, a new panel was selected).
It was also more than a get together and a casual chat. The advisory board was consulted on a range of issues relevant to the brand and encompassing aspects such as marketing and promotions, the in-store experience, the customer loyalty program and customer service.
These Customer Advisory Board meetings not only offered an important view of the brand through the eyes of the customer, they provided a potent incubator of ideas and innovation.
In fact, what I recall most clearly from these sessions is how seriously the advisory board members took their role. They came to each meeting clearly having spent hours doing additional work and research outside their set homework. They would have pages of ideas; notes taken from mystery shopping with competitors and other proactive initiatives that were outside their brief. Their obvious sense of pride and ownership reflected their level of engagement and effort. As a result, they became passionate brand ambassadors.

## What comes next are molecular data, not part of the page
=====
{"formula": "C3H12NO3", "method": "ωB97M-V/def2-TZVPD", "de_lowest_kcal_mol": 321.49, "orbital_gap_ha": 0.141, "spin_multiplicity": 1, "total_charge": 1, "e_homo_ev": -13.950, "total_energy_ev": -10918.2052, "symbols": ["O", "O", "O", "N", "C", "C", "C", "H", "H", "H", "H", "H", "H", "H", "H", "H", "H", "H", "H"], "xyz": [[-0.79686, 1.29586, 1.61646], [1.33799, -1.55568, -1.66648], [1.52821, 1.64512, 1.10056], [-0.84774, -1.50658, -0.34747], [0.03191, -1.46799, 0.78003], [-0.44600, 0.76901, -1.27954], [-1.34975, -0.17153, -0.58062], [-0.73213, 0.72512, 0.04933], [2.20112, -1.49875, -2.11607], [-1.07259, 1.93270, 2.30393], [0.60885, 1.63704, 1.38084], [-0.58593, -1.17604, 1.61624], [0.84337, -0.74437, 0.77692], [-0.75486, 1.51571, -2.02455], [-2.49613, 0.06867, -0.77418], [0.40728, 0.39854, -1.85262], [0.40567, -2.45496, 1.02875], [-0.31711, -1.88103, -1.11130], [2.03469, 2.46918, 1.09976]]}

***

{"formula": "C3H12NOS", "method": "ωB97M-V/def2-TZVPD", "de_lowest_kcal_mol": 40.27, "orbital_gap_ha": 0.329, "spin_multiplicity": 1, "total_charge": 1, "e_homo_ev": -12.295, "total_energy_ev": -17670.7062, "symbols": ["S", "O", "N", "C", "C", "C", "H", "H", "H", "H", "H", "H", "H", "H", "H", "H", "H", "H"], "xyz": [[0.71157, -0.32456, 2.53954], [-0.98272, 2.73754, -1.62664], [0.22101, 0.12469, -2.07585], [-0.07252, -0.38152, 0.91954], [0.15175, -1.41037, -0.18151], [-0.45396, -1.22024, -1.51094], [-1.96242, 3.03832, -1.62058], [0.51290, 0.61133, 0.61853], [-0.33404, 3.56626, -1.76123], [-0.34574, 0.97699, -1.85421], [1.23598, -1.54955, -0.23851], [-1.02364, -0.12554, 1.15456], [-0.21192, -2.01340, -2.19928], [0.54955, 0.01828, -3.03303], [-1.53526, -0.99421, -1.50790], [-0.23513, -2.41682, 0.24432], [-0.50393, -0.77850, 3.23696], [1.03168, 0.15936, -1.49085]]}

***

{"formula": "C3H12NOS2", "method": "ωB97M-V/def2-TZVPD", "s2": 0.751, "de_lowest_kcal_mol": 55.42, "orbital_gap_ha": [0.079, 0.320], "spin_multiplicity": 2, "e_homo_ev": [-2.193, -8.532], "total_energy_ev": -28508.8862, "symbols": ["S", "S", "O", "N", "C", "C", "C", "H", "H", "H", "H", "H", "H", "H", "H", "H", "H", "H", "H"], "xyz": [[-1.67665, -0.58684, 0.83476], [-1.44523, -2.49759, 0.49093], [3.67595, 1.04102, -1.22631], [0.92282, 0.77274, -1.58067], [0.58832, 2.56944, 0.09508], [-0.10581, 0.29810, 0.75949], [-0.04108, 1.30181, -0.47987], [0.36553, 0.40650, -2.37967], [1.49475, -0.01966, -1.27203], [1.56292, 1.52920, -1.91660], [4.36024, 1.04989, -0.53898], [0.90413, -0.10883, 0.67727], [4.11116, 0.49846, -1.90929], [-0.06891, 3.14913, 0.74563], [1.41747, 2.35647, 0.76712], [-1.56586, -3.13416, 1.68619], [0.86153, 3.24864, -0.73053], [0.07008, 0.92218, 1.65527], [-1.02956, 1.57551, -0.87582]]}

***
=====

Collaborate with your Business Partners

In an effort to get a holistic point of view on your business and gather ideas to build a world-class business based on customer advocacy, your suppliers, wholesalers, vendors and other business partners can also provide a valuable perspective.
Leading brands such as Ritz-Carlton make this part of their culture of listening. In addition to listening to and measuring the input of staff, guests and desired future customers, Ritz-Carlton hosts regular forums to secure the input of their key referral sources in the travel industry (including travel experts who book individual and corporate business with them), strategic partners (restaurateurs and other retail partners) and the investors and owners of buildings Ritz-Carlton manages.
In his book The New Gold Standard, author Joseph Michelli explores the impact of these forums, following in-depth interviews with several participants. Nancy Strong, Chief Executive Officer of Strong Travel Services, shares how Ritz-Carlton solicited her input: “I attended the very first Travel Industry Advisory Council many years ago in Atlanta. There were a number of travel agents who sat at that table along with many Ritz-Carlton general managers. Our group of travel professionals raised a number of issues, and I remember thinking: I hope the managers are taking notes.” Apparently they were. Nancy continues, “Within three to six months every issue we brought up was addressed and handled. You can imagine how we, as travel agents, their partner clients, felt after that. I mean, you talk about a warm and fuzzy feeling toward a partner!”
In the end, all business is personal. Great leadership involves listening to the people in and around your business — the people who truly understand and have a vested interest in making your business stronger.
When you choose collaboration over competition, generosity over furtiveness, you set a different intention and establish a more constructive energy around you and your business.
For more ideas on how to build a culture of collaboration, download your free digital copy of Turning Customers into Advocates here.